Obstructive Sleep Apnea 101

Over 25 million Americans have been diagnosed with obstructive sleep apnea, and many more probably have it but just haven't been diagnosed yet. Obstructive sleep apnea (OSA) happens when the throat muscles become too relaxed during sleep and fail to keep the airway completely open. Sleep apnea can also result when the brain doesn't control respiration like it should when you are sleeping. This is called central sleep apnea, but obstructive sleep apnea is far more common. Here is what you need to know about this potentially debilitating disorder.

How Is OSA Diagnosed?

Unrelated to this page: calculated crystals:
+++
VASP calculation (GGA-PBE) on crystalline SrCa3Lu9O18 at its relaxed geometry. Values from VASP.

- electronic total energy (eV per cell) = -484.3
- formation energy (meV per atom) = -3776

Geometry as Quantum ESPRESSO input:
```
&SYSTEM
  ibrav = 0, nat = 62, ntyp = 4
/
ATOMIC_SPECIES
O 16.00 O.upf
Lu 174.97 Lu.upf
Ca 40.08 Ca.upf
Sr 87.62 Sr.upf
CELL_PARAMETERS angstrom
-8.833 -2.680 -14.665
-3.669 -9.307 14.149
-2.229 2.285 0.925
ATOMIC_POSITIONS crystal
O 0.361 0.540 0.254
O 0.974 0.552 0.752
O 0.578 0.026 0.752
O 0.886 0.248 0.247
O 0.180 0.026 0.749
O 0.306 0.804 0.743
O 0.248 0.362 0.747
O 0.781 0.091 0.748
O 0.804 0.498 0.243
O 0.694 0.196 0.243
O 0.821 0.361 0.754
O 0.179 0.639 0.254
O 0.154 0.180 0.249
O 0.909 0.690 0.748
O 0.026 0.448 0.252
O 0.639 0.460 0.754
O 0.638 0.886 0.747
O 0.502 0.306 0.243
O 0.362 0.114 0.247
O 0.498 0.694 0.743
O 0.091 0.310 0.248
O 0.310 0.219 0.748
O 0.752 0.638 0.247
O 0.448 0.422 0.752
O 0.820 0.974 0.249
O 0.552 0.578 0.252
O 0.114 0.752 0.747
O 0.219 0.909 0.248
O 0.422 0.974 0.252
O 0.974 0.154 0.749
O 0.690 0.781 0.248
O 0.846 0.820 0.749
O 0.540 0.179 0.754
O 0.196 0.502 0.743
O 0.460 0.821 0.254
O 0.026 0.846 0.249
Lu 0.887 0.116 0.249
Lu 0.102 0.550 0.756
Lu 0.784 0.219 0.743
Lu 0.552 0.102 0.256
Lu 0.550 0.448 0.256
Lu 0.565 0.784 0.243
Lu 0.771 0.887 0.749
Lu 0.435 0.216 0.743
Lu 0.898 0.450 0.256
Lu 0.216 0.781 0.243
Lu 0.448 0.898 0.756
Lu 0.113 0.884 0.749
+++

Patients who present with a history of unexplained fatigue that doesn't have an obvious medical reason behind and whose loved ones report they snore a lot is a good candidate for a visiting a doctor who specializes in sleep disorders. An overnight sleep study can be arranged in a facility designed to monitor you while you sleep. Dentists are often the first one to bring a potential OSA issue to a patient's attention. When a dentist uses nitrous oxide to provide a mild sedative effect for his patients, many patients will fall asleep in the chair. The reclining position is similar to when you are sleeping, and obviously, your dentist has a birds' eye view of your mouth and throat structure when he is working on your teeth. The dentist can see and hear if the throat muscles are too relaxed and your airway is being blocked.

What Are The Symptoms Of OSA?

/*
Material: SmI2
Method: DFT, PBE-GGA
State: optimized geometry

Calculated values
The calculation puts the density at 6.23 Mg/m³. As for the formation energy: -4.14 eV per formula unit. Its energy is -3.72 eV/atom. For the volume, the calculation gives 35.936 A^3/atom.

Cell: 7.400 8.247 14.131 Å, 90.00 90.00 90.00°
Element x y z (fractional)
Sm  0.675  0.050  0.406
Sm  0.675  0.550  0.094
Sm  0.175  0.450  0.406
Sm  0.825  0.050  0.906
Sm  0.825  0.550  0.594
Sm  0.325  0.950  0.594
Sm  0.325  0.450  0.906
Sm  0.175  0.950  0.094
I  0.195  0.116  0.795
I  0.695  0.884  0.705
I  0.482  0.793  0.954
I  0.805  0.384  0.295
I  0.982  0.207  0.546
I  0.982  0.707  0.954
I  0.305  0.616  0.205
I  0.518  0.207  0.046
I  0.018  0.293  0.046
I  0.695  0.384  0.795
I  0.305  0.116  0.295
I  0.518  0.707  0.454
I  0.018  0.793  0.454
I  0.805  0.884  0.205
I  0.482  0.293  0.546
I  0.195  0.616  0.705

***

Material: Pm3I
Method: DFT, PBE-GGA
State: optimized geometry

Calculated values
The energy relative to the lowest polymorph listed for this composition is 0.0 meV/atom. The calculation puts the density at 7.46 Mg/m³. As for the formation energy: -0.85 eV per formula unit. Its energy is -4.06 eV/atom. For the volume, the calculation gives 31.257 A^3/atom.

Cell: 7.067 7.067 5.782 Å, 90.00 90.00 120.00°
Element x y z (fractional)
Pm  0.834  0.667  0.750
Pm  0.166  0.333  0.250
Pm  0.166  0.834  0.250
Pm  0.834  0.166  0.750
Pm  0.333  0.166  0.750
Pm  0.667  0.834  0.250
I  0.667  0.333  0.250
I  0.333  0.667  0.750

***

Material: P3RuO9
Method: DFT, PBE-GGA
State: optimized geometry

Calculated values
The energy relative to the lowest polymorph listed for this composition is 20.8 meV/atom. The calculation puts the density at 3.31 Mg/m³. As for the formation energy: -29.54 eV per formula unit. Its energy is -7.18 eV/atom. For the volume, the calculation gives 13.036 A^3/atom.

Cell: 7.434 7.434 9.593 Å, 57.86 57.86 52.59°
Element x y z (fractional)
O  0.500  0.500  0.500
O  0.150  0.403  0.175
O  0.605  0.667  0.673
O  0.252  0.862  0.322
O  0.039  0.164  0.092
O  0.667  0.605  0.173
O  0.403  0.150  0.675
O  0.961  0.836  0.908
O  0.748  0.138  0.678
O  0.500  0.500  0.000
O  0.597  0.850  0.325
O  0.862  0.252  0.822
O  0.850  0.597  0.825
O  0.164  0.039  0.592
O  0.836  0.961  0.408
O  0.395  0.333  0.327
O  0.138  0.748  0.178
O  0.333  0.395  0.827
Ru  0.500  0.000  0.500
Ru  0.000  0.500  0.000
P  0.705  0.521  0.822
P  0.521  0.705  0.322
P  0.947  0.053  0.750
P  0.479  0.295  0.678
P  0.053  0.947  0.250
P  0.295  0.479  0.178

***

Material: RbMg14Zr
Method: DFT, PBE-GGA
State: optimized geometry

Calculated values
The energy relative to the lowest polymorph listed for this composition is 0.0 meV/atom. The calculation puts the density at 2.16 Mg/m³. As for the formation energy: 2.46 eV per formula unit. Its energy is -1.84 eV/atom. For the volume, the calculation gives 24.794 A^3/atom.

Cell: 6.652 6.652 10.353 Å, 90.00 90.00 120.00°
*/
[The entry goes on]

Snoring and sudden gasping for air are the most common symptoms. There is a higher prevalence in men, people who are overweight, post-menopausal women, and those who have misaligned jaws or a smaller mouth and/or breathing tube. The constantly fluctuating air supply leads to frequent night-time waking, which will leave the OSA suffering from exhaustion. Being tired can affect every aspect of life, from poor work performance to inattentive driving to more serious health problems, like heart disease, high blood pressure, stroke, and even sudden death.

How Can OSA Be Treated?

One of the easiest ways to treat OSA is to have a dentist who specializes in sleep medicine fit you for an oral appliance. This therapy is used only at night, and it is basically a mouth guard that will help to keep your airway unobstructed. Another option is a CPAP machine. This involves wearing a mask with a tube attached to a machine that supply constant air pressure. Your last option is different surgical techniques that may resolve the problem. 

For more information, talk to a dentist.
